Am I just making excuses?

An earlier post outlines my interest and intent on creating an on-line game. I have been thinking steadily about this project since then, but, perhaps unsurprisingly given my past issues on earlier projects haven’t got a damn thing written (well, code/database wise, I have a document I started to record my thoughts; it is four pages and over 2K words so far). Part of the problem is, no doubt, analysis paralysis. I am confident on the large structured elements, but as soon as I start peeling back the layers to reach implementation suddenly I find myself without the ability to make decisions.

(Data records, as found in the file)
┌──
{
  "formula": "Zn2CdGa2",
  "functional": "meta-GGA SCAN",
  "state": "PBEsol geometry",
  "lattice": [[7.938, 0.000, 0.000], [0.000, 7.938, 0.000], [0.000, 0.000, 2.779]],
  "species": ["Zn", "Zn", "Zn", "Zn", "Cd", "Cd", "Ga", "Ga", "Ga", "Ga"],
  "fractional_positions": [[0.169, 0.331, 0.000], [0.331, 0.831, 0.000], [0.669, 0.169, 0.000], [0.831, 0.669, 0.000], [0.000, 0.000, 0.500], [0.500, 0.500, 0.500], [0.129, 0.629, 0.500], [0.371, 0.129, 0.500], [0.629, 0.871, 0.500], [0.871, 0.371, 0.500]],
  "n_ef_per_ev_atom": 0.359,
  "formation_enthalpy_0k_ev_per_fu": 0.63,
  "space_group": "P4/mbm, No. 127",
  "polymorph_energy_mev_per_atom": 51
}

=====

{
  "formula": "Zn2CdGa2",
  "functional": "meta-GGA SCAN",
  "state": "PBEsol geometry",
  "lattice": [[-1.953, 1.953, 5.808], [1.953, -1.953, 5.808], [1.953, 1.953, -5.808]],
  "species": ["Zn", "Zn", "Cd", "Ga", "Ga"],
  "fractional_positions": [[0.250, 0.750, 0.500], [0.750, 0.250, 0.500], [0.000, 0.000, 0.000], [0.394, 0.394, 0.000], [0.606, 0.606, 0.000]],
  "n_ef_per_ev_atom": 0.323,
  "formation_enthalpy_0k_ev_per_fu": 0.38,
  "space_group": "I4/mmm, No. 139",
  "polymorph_energy_mev_per_atom": 0
}

=====

{
  "formula": "ZrCdGa3",
  "functional": "meta-GGA SCAN",
  "state": "PBEsol geometry",
  "lattice": [[4.867, 0.000, 0.000], [0.000, 4.867, 0.000], [0.000, 0.000, 4.867]],
  "species": ["Zr", "Cd", "Ga", "Ga", "Ga"],
  "fractional_positions": [[0.000, 0.000, 0.000], [0.500, 0.500, 0.500], [0.000, 0.500, 0.500], [0.500, 0.000, 0.500], [0.500, 0.500, 0.000]],
  "n_ef_per_ev_atom": 0.674,
  "formation_enthalpy_0k_ev_per_fu": 3.79,
  "space_group": "Pm-3m, No. 221"
}

=====

{
  "formula": "Gd2CdHg",
  "functional": "meta-GGA SCAN",
  "state": "PBEsol geometry",
  "lattice": [[0.000, 3.694, 3.694], [3.694, 0.000, 3.694], [3.694, 3.694, 0.000]],
  "species": ["Gd", "Gd", "Cd", "Hg"],
  "fractional_positions": [[0.250, 0.250, 0.250], [0.750, 0.750, 0.750], [0.000, 0.000, 0.000], [0.500, 0.500, 0.500]],
  "n_ef_per_ev_atom": 0.724,
  "formation_enthalpy_0k_ev_per_fu": -2.14,
  "space_group": "Fm-3m, No. 225"
}

=====

{
  "formula": "Gd2CdIn",
  "functional": "meta-GGA SCAN",
  "state": "PBEsol geometry",
  "lattice": [[0.000, 3.719, 3.719], [3.719, 0.000, 3.719], [3.719, 3.719, 0.000]],
  "species": ["Gd", "Gd", "Cd", "In"],
  "fractional_positions": [[0.250, 0.250, 0.250], [0.750, 0.750, 0.750], [0.000, 0.000, 0.000], [0.500, 0.500, 0.500]],
  "n_ef_per_ev_atom": 0.311,
  "formation_enthalpy_0k_ev_per_fu": -2.14,
  "space_group": "Fm-3m, No. 225"
}

=====

{
  "formula": "GdLuCd2",
  "functional": "meta-GGA SCAN",
  "state": "PBEsol geometry",
  "lattice": [[0.000, 3.657, 3.657], [3.657, 0.000, 3.657], [3.657, 3.657, 0.000]],
  "species": ["Gd", "Lu", "Cd", "Cd"],
  "fractional_positions": [[0.000, 0.000, 0.000], [0.500, 0.500, 0.500], [0.250, 0.250, 0.250], [0.750, 0.750, 0.750]],
  "n_ef_per_ev_atom": 2.935,
  "formation_enthalpy_0k_ev_per_fu": 6.29,
  "space_group": "Fm-3m, No. 225"
}
└──

The first major issue was how to represent the interface. I had already decided that plain text wasn’t going to be the direction, text on a smart phone or tablet is just about the worst possible interaction method. My plan was to use simple graphics to represent the state of the player in the game environment, though defining ‘simple’ has not been very simple at all. I thought for a bit that I would just focus on the mechanics of dynamically creating compressed gif images (I have done a wee bit of image processing to create a web page counter) but even there I got lost in decision making. The open source libraries that are available are way too complex for what I need and, since they are packaged as libraries, it isn’t that straight forward to cut out just the bits I want to use. I studied the gif specification for a while, but just wasn’t interested in recreating, for undoubtedly at least the 10,000th time, an implementation, so passed on that. After a few more days I decided to shift focus onto the text game play as at least that could be alpha tested by people on PCs.

In contemplating my extension to the ADVENT database I had developed the idea of a somewhat conversational interaction with so-called non-player characters (NPCs). What I had envisioned initially was a sort of key word look up method in that I would parse what the user typed in, strip out ‘noise’ words (like ‘the’, ‘if’, etc.) and then do a query to find a pre-programmed sentence that would score most highly as a likely response. This, of course, would require a great deal of thought on my part to provide responses and prompting keywords and, if you haven’t caught on to that yet, I am a really lazy person, so just couldn’t get over the activation energy. So, it wasn’t that long before I gave up on that approach and started to do some Googling on natural language processing (NLP). I had looked briefly into NLP several years ago when I was interested in building a spam filter, so know it is not trivial or for the faint of heart, but when I started to learn about chatterbots I figured I had something that would go along way toward what I wanted to accomplish. However, it seemed upon further research that they would be too general for me and not provide the specificity I needed without a huge amount of customization (back to having to work! damnit!). I tried searching for some sort of database of conversations I could parse apart and use as a baseline and found this really interesting post “The Dynamic Conversation Engine Concept“. However, I wasn’t able to find much more (the document is very interesting, though) and didn’t find any contact info for the author (of course, it might be blazingly obvious; I am notorious for not being able to see things right in front of me) so that seemed like a dead end.

The conversion I started on the ADVENT program is incomplete (it doesn’t even require you to have the lamp on to go underground!) and I thought about working some more on that, but just can’t seem to get the activation energy. I have grown increasingly tired of the IT industry over the years, no doubt that has influenced my ennui, but I really like the idea and spend a lot of time thinking about it. I just can’t seem to translate that into action. Am I just a whiny procrastinator who talks a good story (presuming, naturally, you consider any of this a good story)? I used to be able to ‘do things’ programmatically. I still ‘do things’ with my hands, I build greenhouse/pools on the weekends, but there really isn’t a whole lot of thinking going on there, or rather the thinking has been front-loaded (nigh on 3 years ago now) and I am sort of on autopilot. Interestingly, I guess, when I do come up against issues that need to be resolved, it is often my wife who comes up with the solutions now (of course, I married her for more than her sexy body to begin with, so this isn’t surprising to me), so I wonder sometimes if I am no longer capable of taking action on ideas any longer.

I hope this is just a phase…

Author: Tfoui

He who spews forth data that could be construed as information...